How to use stable diffusion to make awesome art

Diffusion is a complex process that has the potential to produce vivid and high-quality images through the use of artificial intelligence. The process involves the application of a sophisticated diffusion model to the image, simulating the dispersion of particles from a central source. As the model iteratively diffuses the image, the result is a new image with a smooth, realistic appearance. Diffusion has a vast range of applications, from restoring images to transferring styles and inpainting images.

Stable Diffusion: Open-Source Neural Network Model for Image Generation

The Stable Diffusion, a neural network model, enables the generation of images through text phrases for generation. Examples of the most appropriate phrases for creating stunning art can be found here Unlike "Midjourney," the software's source code is available for download and can be accessed by anyone. The software can be utilized on third-party platforms for a fee or installed on a personal computer.

Stable Diffusion is an open-source neural network that can be replicated on one's computer. To ensure seamless operation, it is necessary to possess a video card with a memory of 6GB or more. The more powerful the computer, the quicker the images will be generated.

Most neural networks follow a "Text-Image" system, which means that a specific text phrase must be generated to obtain the desired image. While the structures of phrases for generating images with different neural networks are almost identical, each network has its unique features and subtleties that should be considered when working with them.

Technical Aspects of Image Generation using Stable Diffusion

If you have experience with Midjourney, you may recall that Stable Diffusion does not recognize commands with double dashes and double colons, such as -ar, -no, ::, etc. While this structure is not the only correct one, using it can help you achieve good results from the first few tries.

Crystal structures from another source follow
<<<
Structure and computed X-ray powder pattern of CsCoMoO4 (a structure optimized by DFT (GGA+U); λ = 1.5418 Å (Cu Kα)).

Atomic structure:
```
CsCoMoO4
1.0
5.816 0.000 0.000
0.000 5.718 0.000
-1.110 0.000 7.298
Cs Co Mo O
2 2 2 8
Direct
0.212 0.250 0.082
0.788 0.750 0.918
0.390 0.250 0.639
0.610 0.750 0.361
0.147 0.750 0.477
0.853 0.250 0.523
0.122 0.022 0.647
0.122 0.478 0.647
0.279 0.750 0.250
0.472 0.750 0.585
0.528 0.250 0.415
0.721 0.250 0.750
0.878 0.522 0.353
0.878 0.978 0.353
```

Peak list (10 most intense, 2θ = 10–90°, low angle first)
- (0 0 1), 2θ 12.13, I = 33
- (1 1 -1), 2θ 23.95, I = 52
- (0 0 2), 2θ 24.39, I = 26
- (1 1 1), 2θ 26.25, I = 100
- (1 0 -2), 2θ 26.90, I = 59
- (0 1 2), 2θ 29.03, I = 72
- (0 2 0), 2θ 31.29, I = 69
- (2 1 -1), 2θ 35.46, I = 54
- (1 1 -4), 2θ 52.80, I = 27
- (1 2 3), 2θ 53.69, I = 27
>>>
The crystal structures stop here

  • object/subject - the main building block for generation. For example: white lion.
  • style is the second crucial part of the phrase needed to generate an image. Sometimes, specifying the object/subject and the style is sufficient to obtain a good image. If no art style is specified, the system will use the one that appears most frequently in similar images.
  • action/scene - the action describes what the object/subject is doing, and the scene describes where it happens. For example, "run along the savannah".
  • artist - the name of the artist whose graphic style should be assigned to the created image. The parameter is optional.
  • filters - filters allow you to give the image a particular style and sophistication. For instance, you can add "Trending on Artstation" to make the image more "artistic." To add more realistic lighting, add "Unreal Engine." You can use a wide variety of filters, and their application is limited only by your imagination. Among the popular ones are Highly detailed, surrealism, trending on art station, triadic color scheme, smooth, sharp focus, matte, elegant, the most beautiful image ever seen, illustration, digital paint, dark, gloomy, octane render, 8k, 4k, washed colors, sharp, dramatic lighting, beautiful, post-processing, picture of the day, ambient lighting, epic composition, etc.

When creating a query to generate an image, keep in mind that you are communicating with code written by programmers. If you want to obtain a more predictable result, formulate a request that specifies the precise objects, places, and properties of the image. Note that the length of the phrase should not exceed 75 words.

Regarding the technical aspects of text generation, the system assigns greater importance to words that appear closer to the beginning of the query. To take advantage of this, it is advisable to start the query with the main object and its associated properties. If you wish to set the weight of particular words yourself, you can do so by using the ":xx" syntax, where xx represents the numeric value of the weight. For example, "funny beaver:60 fly over medieval castle:40." The sum of all weights should equal 100.

When generating text, the process begins with a seed value, which is a unique numeric value that serves as a starting point for the generation. The seed value can be compared to mathematical coordinates in a system. It is used to initialize the generation process. Stable diffusion is another technique used to generate text. It involves taking the values of two input parameters, namely the seed value and the phrase text, and translating them to a fixed point in the generative model space. To achieve consistent output, the seed and phrase values must remain fixed.

However, if you use the same seed value, you can produce similar images with varying properties by introducing new words in the input phrase.

The generation process involves iterative steps that begin with random noise. With each step, some of the noise is removed, resulting in an improvement in the quality of the generated image.

It's best to use a moderate number of steps, typically between 25 and 50, to achieve optimal image quality. Using more steps may not necessarily result in better quality images but will slow down the generation process.

Guidance Scale is a parameter that allows you to control how closely the generation process follows the input phrase. You can set a numerical value that corresponds to a particular level of interpretation for your query.

Setting the correct values depends not only on the desired results; but also on the complexity of the phrase to be generated. The longer the phrase to be generated, the higher the value you can set. This will allow the system to work out the fine details in more detail and take them into account in the final image.

The choice of diffusion value determines how closely the generated image will match your input query. A lower value will result in more creative outputs, while a higher value will produce images closer to your input but may lack detail and aesthetic quality. The recommended range for optimal results is between 7 and 10, with a balance between your input and the system's creativity. For more input-driven results, a value between 11 and 15 is suggested. However, values above 15 may overprocess the input, while values between 1 and 6 may produce highly creative outputs but may not closely resemble the input.

Despite its benefits, there are some challenges and limitations to using diffusion for AI image creation. One challenge is the high computational cost, which can make real-time applications and large datasets difficult to process. Additionally, diffusion can sometimes lead to unwanted visual artifacts or effects.

The application of diffusion presents an exhilarating prospect for producing lifelike, superior quality images through artificial intelligence. By adhering to the fundamental guidelines for employing diffusion, one can accomplish astonishing outcomes in a broad spectrum of applications. Despite the difficulties and constraints associated with diffusion-based AI image creation, the potential rewards are extensive and will probably lead to further advancements in the arena.